As to writing good code to begin with, it's easier said than done.
**Someone pasted quantum chemistry results at this point:**
********
Formula: C79H182N10O14
Source: OMol25
Level of theory: the ωB97M-V functional and the def2-TZVPD basis

```
285
Properties=species:S:1:pos:R:3:forces:R:3:lowdin_charge:R:1
C 1.4865 -0.3840 1.0410 -0.37 0.06 -0.07 -0.006
C -0.0175 -0.7475 0.8214 0.31 -0.44 1.86 -0.433
C -0.9106 0.2144 1.6822 0.47 0.87 -1.22 -0.114
C -1.0871 1.6022 1.0320 -0.67 -1.52 -0.50 -0.155
C -1.6767 1.3236 -0.3534 0.92 -0.26 -0.33 -0.100
C -0.7869 0.4028 -1.3049 -0.78 -0.18 -1.67 -0.404
N -0.4185 -0.8541 -0.6075 -1.67 1.08 1.87 -0.119
O 0.3259 -1.7969 -1.3443 -0.20 0.98 0.38 -0.005
C -1.7205 -0.0753 -2.4533 0.03 0.00 -0.66 -0.030
C 0.4324 1.1615 -1.9613 -0.58 -0.35 1.47 0.004
C -0.2940 -2.1379 1.4545 0.64 0.23 -0.30 -0.028
H 1.7457 0.6356 0.7557 -0.08 -0.06 -0.95 0.053
H 2.0973 -1.1461 0.5571 0.31 0.37 -0.15 0.066
H 1.8208 -0.3015 2.0752 -0.56 -0.75 0.48 0.066
H -1.8873 -0.2520 1.8110 -0.16 0.08 0.01 0.110
H -0.4871 0.3826 2.6724 0.29 -0.59 0.07 0.101
H -0.1587 2.1680 0.9531 -0.03 -0.02 0.19 0.078
H -1.8350 2.1472 1.6080 0.20 0.33 0.06 0.114
H -1.9072 2.2915 -0.7986 0.19 -0.12 -0.68 0.112
H -2.6379 0.8199 -0.2519 -0.04 -0.12 0.13 0.097
H -2.6727 -0.5264 -2.1743 -0.09 0.44 0.70 0.058
H -1.9253 0.7219 -3.1679 -0.13 0.26 0.12 0.075
H -1.3212 -0.8838 -3.0656 0.77 0.06 0.09 0.070
H 0.9436 1.6193 -1.1145 0.39 0.29 -0.17 0.051
H 1.1342 0.4936 -2.4608 -0.14 -0.08 0.00 0.048
H 0.1341 1.9430 -2.6602 -0.22 -0.07 0.07 0.076
H -1.3214 -2.4641 1.2929 0.08 0.01 -0.28 0.076
H -0.1544 -2.1313 2.5355 0.29 0.18 0.06 0.073
H 0.4154 -2.8307 1.0019 -0.19 -0.42 0.12 0.073
H 1.1751 -1.3550 -1.4165 1.16 -0.32 -0.44 0.044
C -1.6752 -9.3147 2.0771 0.73 0.23 0.10 -0.027
C -0.2453 -9.2890 1.4710 0.81 -0.50 1.45 -0.445
C -0.2706 -8.9704 -0.0300 -0.70 1.06 1.09 -0.135
C -0.5608 -7.4772 -0.2476 0.03 0.07 -0.04 -0.186
C 0.4498 -6.5788 0.4561 -0.36 -0.35 0.45 -0.138
C 0.5357 -6.8026 2.0144 -0.34 0.33 -0.48 -0.460
N 0.6170 -8.2500 2.2300 0.53 -0.72 -2.53 -0.122
O 0.8946 -8.5663 3.5437 -0.69 -0.24 1.11 -0.018
C 1.8488 -6.0708 2.3915 0.47 -0.59 0.10 -0.051
C -0.6796 -6.1131 2.7510 0.04 -0.11 -0.61 -0.014
C 0.4027 -10.7202 1.5958 0.27 0.79 0.65 -0.039
H -2.3440 -10.0412 1.6157 0.02 0.19 -0.39 0.081
H -2.0453 -8.2911 2.0191 -0.48 -0.26 -0.03 0.060
H -1.6441 -9.6022 3.1281 0.24 0.16 0.10 0.082
H 0.6651 -9.2662 -0.5044 -0.05 0.01 -0.03 0.117
H -1.1128 -9.5658 -0.3827 0.21 -0.10 -0.53 0.118
H -1.5455 -7.1851 0.1171 -0.26 -0.34 -0.01 0.100
H -0.5721 -7.2644 -1.3166 0.06 0.10 -0.09 0.107
H 0.1978 -5.5303 0.2976 -0.11 0.12 0.00 0.096
H 1.4166 -6.7298 -0.0242 0.30 -0.10 0.33 0.117
H 1.8560 -5.0884 1.9194 -0.19 0.19 0.27 0.067
H 2.1163 -5.9947 3.4454 -0.68 0.20 0.24 0.076
H 2.7305 -6.5710 1.9910 -0.13 -0.36 -0.43 0.079
H -1.5810 -6.1563 2.1397 -0.02 0.00 -0.25 0.062
H -0.9945 -6.5514 3.6980 0.57 -0.26 0.09 0.077
H -0.4979 -5.0524 2.9242 0.19 0.06 -0.02 0.061
H 1.3763 -10.7784 1.1092 -0.10 0.19 -0.44 0.074
H -0.2495 -11.5003 1.2030 -0.10 0.20 -0.20 0.081
H 0.6448 -11.0099 2.6183 -0.42 0.23 0.27 0.068
********
**The page goes on:**
When it's almost midnight, and you've been at work for about 14 hours,
and you have people (not just your manager, but his boss, the big
boss, and the guy in charge of the project) calling you every 15
minutes, and the people you had promised things mad at you because you
were tasked with doing a job THAT THEY KNEW ABOUT FOUR WEEKS AGO BUT
DIDN'T GIVE YOU A HEADS UP (!!!) ... well, pretty code takes a back
Okay, I know people have already beaten this thread to death, but I
still wanted to add my input.
I've discovered writing any code, including crisis code, is vastly
improved when the lines "use strict;" and "use warnings;" are used at
the top of the script. You might be saying, "I don't have enough time
to put those in!" but hear me out:
It really doesn't take any more time to program with those lines
than without, and they are HUGE timesavers. They basically point out
obscure errors that would take hours to find without them, and they
end up forcing you to write cleaner code to begin with (which doesn't
take any longer than writing "un-clean" code).
I once had a co-worker who was learning Perl. He was writing a
script, and later told me that his script wouldn't compile, but
eventually figured out how to fix it. I praised him for fixing the
bug and asked how he fixed his script, and he replied, "I removed the
'use strict;' line and the script ran just fine." I told my co-worker
that that didn't actually remove the real problem and offered to look
over his code. Sure enough, there was a simple little error that was
easily fixed (that he didn't have enough experience to identify).
Why am I telling you this story? Because a lot of people
mistakenly think that programming with "use strict;" and "use
warnings;" takes lots longer than programming without them, but in
practice, I've found just the opposite is true (they tell you exactly
where a potential error is). All you have to do is learn to program
using them, and then you'll see your development times plummet (or at
least significantly drop). And if you don't regularly program with
them, I suggest learning to as soon as possible, and not waiting for
the next crisis to learn!
As an added bonus, the "use warnings;" line won't actually change
the behavior of your program, but will spit out warnings when it
thinks something's wrong with your script. You might consider this a
bonus because if you discover weeks later that, due to the warnings
your script is giving, your input is in the wrong format, you may have
an easier time convincing your manager that the script needs to be
cleaned up. Otherwise, the script will be silent about your incorrect
input assumptions -- giving the managers the false impression that
everything is okay. (I've seen this a lot myself.)
I also recommend adding "use strict;" and "use warnings;" to any
script that doesn't already have it. I know it's easier said than
done when dealing with "crisis code" that you didn't write yourself,
but the effort you take to convert the script (such as declaring
variables) will be worth it. I've had to do it several times myself,
and I can tell you that it gets easier the more times you do it.
And if you contest that you don't have the time to convert your
script to run with "use strict;" then I seriously recommend that AT
THE VERY LEAST you still put in "use warnings;". Like I said before,
"use warnings;" won't change the behavior of your script -- but IT
WILL report many simple errors, like misspelled variable names (which
are often difficult to track down), uninitialized variables, and input
in the wrong format (like trying to add two non-numbers together).
Also, be aware that you can still use "strict" and "warnings" in
blocks of code that you add in yourself. If you find yourself adding
a new block of code (such as in a loop or a condition), you can still
put "use strict;" and "use warnings;" in that block to take advantage
of their special powers of error-finding. (If you use any outside
variables in that block, however, you'll have to declare those
variables (with "my") where they're first used in order to prevent
"use strict;" from complaining. But that should be fairly easy to
Also, I highly recommend that you use "or die "[error message goes
here]: $!\n";" (or something similar) after every open(), opendir(),
and chdir() statement you use. Now, several people I've worked with
shun them saying "I don't want the program to die, I want it to
continue." This is usually just a cop-out, but if their reasons are
legitimate, then use "or warn" instead of "or die". The program will
still continue, but it will give a nice warning when something doesn't
happen that it expected to happen.
Another excuse I hear is, "I don't have time to type out 'or die
"blah blah blah: $!\n";' hundreds of time in my code" That's a lousy
excuse, but if they insist, then have them use just " or die;" (or AT
LEAST " or warn;"). Those seven extra keystrokes should be easy
enough for anyone to type that it won't increase development times
(presuming they CAN type).
I mostly grab data from one place, massage it, and send it to another
place. The format of the data I get, and/or the format of the final
form, changes several times a year. It's not that the code breaks a
lot, but that the specifications change. Since we can't 'fix' the
specifications, we have to 'fix' the code, and guess who gets blamed
if the code isn't 'fixed.'
I do a lot of "data massaging" myself, and I can say that it's a
life-saver to be able to code with "use strict;" and "use warnings;".
Otherwise, a simple misspelled variable name will create a bug that
can take hours to track down, and a parsed out value that I expect to
be a number but isn't can go undetected for years (literally!).
And, like you, I have also had cases where the specifications
change. Especially in those cases, I will take care to DOCUMENT IN
THE FORM OF COMMENTS what the input is supposed to look like,
including GIVING EXAMPLES of the input. The examples are a
lifesaver! That's because when the specifications DO change, then
I'll have a record of what the OLD specifications looked like, and
have an easier time massaging the new input into the old data
Here's an example of how I'd document examples:
# Look for a line that looks like:
# and store the latitude and longitude in the %location hash:
if (m/^(\w{4})\s+(\d+[NS])(\d+[EW])\b/)
$location{$1}{latitude} = $2; # $2 looks like "30N"
$location{$1}{longitude} = $3; # $3 looks like "50W"
That way, when the next maintainer encounters the code, they won't
have to decipher the regular expression to figure out what it was
meant to do. They may have to verify that the regular expression does
as advertized, but in my experience this is MUCH simpler to do than
deciphering the expression from scratch, as deciphering the regular
expression (with no intent known as to what it's supposed to be
looking for) makes it almost impossible to figure out if it contains a
bug -- because there is no way to verify if its actual behavior is
what the original programmer meant it to be.
In other words, placing comments of expected input gives the
maintainer (which I suspect will probably be you) an easier time of
following the input along the code, and of being able to tell if a
possible bug lies in one area of code (versus another).
One more thing:
Once I read a post by a poster named "A. Sinan Unur" that
recommended declaring variables IN AS SMALL AS SCOPE AS POSSIBLE.
That is, instead of declaring all your variables at the top of your
script, declare then inside the smallest block needed. So if a
variable isn't needed OUTSIDE a loop nor BETWEEN its iterations, go
ahead and declare it INSIDE the loop brackets.
So instead of code like this (which I've seen before and and had to
clean up):
$level = 0;
$station = "";